Material:
/*
1.
A 7-piece molecular cluster, C41H37O25PS overall, computed with ωB97M-V with the def2-TZVPD basis set.

Cartesian coordinates (Å):
O: -0.75 -5.45 1.00
C: -0.28 -4.52 0.37
C: 0.16 -4.65 -1.03
C: 0.68 -3.62 -1.69
O: 1.09 -3.74 -3.00
C: 0.85 -2.29 -1.03
O: 1.35 -1.36 -1.66
C: 0.40 -2.15 0.36
C: -0.13 -3.18 1.01
O: -0.56 -3.05 2.32
H: 0.03 -5.62 -1.49
H: 1.43 -2.86 -3.25
H: 0.51 -1.17 0.82
H: -0.90 -3.94 2.57
O: 3.03 -1.53 -5.86
C: 3.40 -1.49 -7.03
C: 2.73 -2.24 -8.10
C: 3.18 -2.19 -9.35
O: 2.55 -2.90 -10.36
C: 4.36 -1.37 -9.72
O: 4.76 -1.36 -10.88
C: 5.02 -0.60 -8.66
C: 4.58 -0.65 -7.40
O: 5.19 0.08 -6.40
H: 1.87 -2.84 -7.82
H: 3.06 -2.70 -11.18
H: 5.87 0.01 -8.94
H: 4.68 -0.13 -5.58
O: -2.55 -10.16 5.91
C: -2.08 -9.22 5.27
C: -1.64 -9.36 3.87
C: -1.12 -8.32 3.21
O: -0.71 -8.45 1.90
C: -0.95 -7.00 3.87
O: -0.45 -6.07 3.25
C: -1.40 -6.85 5.26
C: -1.93 -7.89 5.92
O: -2.36 -7.76 7.22
H: -1.77 -10.33 3.41
H: -0.37 -7.56 1.65
H: -1.29 -5.88 5.72
H: -2.70 -8.64 7.48
O: 4.16 2.28 5.32
C: 3.33 1.89 4.51
C: 2.05 2.58 4.31
C: 1.15 2.11 3.44
O: -0.06 2.76 3.25
C: 1.41 0.89 2.64
O: 0.57 0.48 1.85
C: 2.71 0.21 2.82
C: 3.60 0.67 3.69
O: 4.82 0.05 3.86
H: 1.86 3.46 4.91
H: -0.53 2.23 2.56
H: 2.89 -0.67 2.22
H: 5.29 0.57 4.55
O: -3.95 1.85 9.44
C: -2.98 2.10 8.73
C: -3.10 2.84 7.46
C: -2.03 3.08 6.71
O: -2.14 3.78 5.52
C: -0.67 2.63 7.12
O: 0.29 2.85 6.40
C: -0.54 1.91 8.40
C: -1.62 1.67 9.15
O: -1.50 1.00 10.36
H: -4.09 3.16 7.17
H: -1.23 3.83 5.16
H: 0.45 1.60 8.69
H: -2.42 0.95 10.72
O: -6.35 7.81 -1.04
C: -5.56 7.00 -1.49
C: -5.99 5.72 -2.08
C: -5.09 4.85 -2.55
O: -5.49 3.65 -3.11
C: -3.63 5.13 -2.48
O: -2.83 4.29 -2.89
C: -3.20 6.41 -1.91
C: -4.10 7.29 -1.45
O: -3.70 8.50 -0.91
H: -7.05 5.53 -2.12
H: -4.66 3.19 -3.36
H: -2.14 6.61 -1.88
H: -4.53 8.95 -0.65
C: 3.35 0.88 -3.12
O: 3.69 2.27 -3.50
C: 2.66 2.87 -4.37
C: 1.57 3.69 -3.44
C: -0.01 3.50 -3.97
C: -0.46 2.00 -3.42
P: -1.96 1.25 -4.34
S: -2.82 -0.13 -2.88
H: 2.35 0.79 -2.48
H: 4.22 0.53 -2.38
H: 3.25 0.17 -4.05
H: 2.02 2.06 -4.96
H: 3.25 3.58 -5.12
H: 1.58 3.15 -2.37
H: 1.85 4.81 -3.24
H: -0.03 3.60 -5.14
H: -0.68 4.31 -3.42
H: 0.48 1.27 -3.51
H: -0.72 2.05 -2.27
H: -1.51 0.40 -5.41
H: -2.31 0.27 -1.61

HOMO level: -8.233 eV
Structure (SMILES): O=C1C=C(O)C(=O)C=C1O.O=C1C=C(O)C(=O)C=C1O.O=C1C=C(O)C(=O)C=C1O.O=C1C=C(O)C(=O)C=C1O.O=C1C=C(O)C(=O)C=C1O.O=C1C=C(O)C(=O)C=C1O.COCCCCPS
Frontier orbital gap: 6.4 eV

Here are the Mulliken charges for atoms 1 to 5, given in e: O -0.5661; C 0.8872; C -0.8765; C 0.1307; O -0.5893


2.
An isolated ion of composition C3H5O2S2 and charge -1, computed with ωB97M-V with the def2-TZVPD basis set.

Cartesian coordinates (Å):
C: 0.76 0.41 -0.11
C: -0.82 0.09 0.36
S: -0.73 -0.14 2.19
S: -1.86 1.43 -0.26
C: -1.25 -1.28 -0.28
O: -1.84 -1.15 -1.35
O: -0.92 -2.33 0.22
H: 1.45 -0.36 0.36
H: 1.15 1.43 0.04
H: 0.67 0.05 -1.20
H: -0.35 -1.44 1.93
H: -1.96 0.52 -1.37

Total charge: -1
HOMO level: -4.642 eV
Structure (SMILES): CC(S)(S)C(=O)[O-]
Relative energy (zero: lowest compared OMol25 entry of this formula, charge and spin): 58.5 kJ/mol
Frontier orbital gap: 8.0 eV

Here are the Mulliken charges for atoms 1 to 5, given in e: C -0.9104; C 0.2401; S -0.3254; S -0.3786; C 0.5751


3.
A 2-piece molecular cluster, C4H13NO overall, computed with ωB97M-V with the def2-TZVPD basis set.

Cartesian coordinates (Å):
C: -1.89 -1.08 1.21
C: -0.53 -0.41 1.13
N: -0.11 0.14 -0.14
C: 0.99 1.11 -0.08
C: 0.85 1.86 -1.40
H: -2.15 -1.28 2.26
H: -1.97 -2.00 0.59
H: -2.58 -0.25 0.96
H: -0.55 0.45 1.87
H: 0.27 -1.00 1.59
H: -0.84 0.65 -0.60
H: 1.94 0.60 0.06
H: 0.95 1.79 0.81
H: 0.59 1.13 -2.17
H: -0.02 2.52 -1.25
H: 1.81 2.19 -1.82
O: 1.29 -1.94 -1.30
H: 0.80 -1.59 -0.52
H: 1.17 -2.89 -1.22

HOMO level: -8.973 eV
Structure (SMILES): CCNCC.O
Relative energy (zero: lowest compared OMol25 entry of this formula, charge and spin): 99.9 kJ/mol
Frontier orbital gap: 9.9 eV

Here are the Mulliken charges for atoms 1 to 5, given in e: C -1.1372; C -0.4771; N -0.3887; C -0.2764; C -1.2783
*/

To do:
Search the contents further up for the word "formula" and copy each line that has it.

Result:
Relative energy (zero: lowest compared OMol25 entry of this formula, charge and spin): 58.5 kJ/mol
Relative energy (zero: lowest compared OMol25 entry of this formula, charge and spin): 99.9 kJ/mol